In foreign films, rent a car looks like a very simple affair - come no one gave Uncle a certain amount of money, got into his car and drove off. However, in practice it is not so easy. Not knowing some of the subtleties can be to get into a lot of trouble, if not stay without a car. On the other hand, excessive caution can result in additional expenses.
Here the text breaks off for materials data:
********
[1]
Entry from the Materials Project database: RbMg6BO7 after structural relaxation (PBE-GGA).

Cell lengths 7.857, 4.813, 4.813 Å; angles 90.00, 90.00, 90.00 degrees
Sites, in units of the cell vectors:
1 O 0.501 0.000 0.500
2 O 0.999 0.500 0.000
3 O 0.677 0.000 0.000
4 O 0.249 0.500 0.500
5 O 0.999 0.000 0.500
6 O 0.751 0.500 0.500
7 O 0.501 0.500 0.000
8 Mg 0.998 0.500 0.500
9 Mg 0.745 0.000 0.500
10 Mg 0.745 0.500 0.000
11 Mg 0.262 0.500 0.000
12 Mg 0.502 0.500 0.500
13 Mg 0.262 0.000 0.500
14 B 0.504 0.000 0.000
15 Rb 0.054 0.000 0.000

Values from the calculation:
**E**: -79.1 eV/f.u.
**Energy of formation**: -2131.7 meV per atom
**Symmetry**: No. 99


[2]
Entry from the Materials Project database: RbMg14BO15 after structural relaxation (PBE-GGA).

Cell lengths 4.524, 8.269, 8.923 Å; angles 90.00, 90.00, 90.00 degrees
Sites, in units of the cell vectors:
1 O 0.000 0.500 0.719
2 O 0.500 0.000 0.493
3 O 0.500 0.500 0.484
4 O 0.500 0.750 0.757
5 O 0.500 0.250 0.757
6 O 0.500 0.747 0.251
7 O 0.500 0.000 0.029
8 O 0.000 0.256 0.489
9 O 0.000 0.500 0.235
10 O 0.500 0.253 0.251
11 O 0.000 0.666 0.016
12 O 0.000 0.744 0.489
13 O 0.000 0.000 0.269
14 O 0.500 0.500 0.013
15 O 0.000 0.334 0.016
16 Mg 0.000 0.000 0.496
17 Mg 0.500 0.260 0.009
18 Mg 0.500 0.000 0.252
19 Mg 0.500 0.500 0.247
20 Mg 0.500 0.000 0.724
21 Mg 0.000 0.265 0.728
22 Mg 0.500 0.500 0.771
23 Mg 0.000 0.500 0.495
24 Mg 0.000 0.243 0.255
25 Mg 0.000 0.735 0.728
26 Mg 0.500 0.740 0.009
27 Mg 0.500 0.746 0.489
28 Mg 0.500 0.254 0.489
29 Mg 0.000 0.757 0.255
30 Rb 0.000 0.000 0.964
31 B 0.000 0.500 0.068

Values from the calculation:
**E**: -175.4 eV/f.u.
**Energy of formation**: -2626.5 meV per atom
**Symmetry**: No. 25


[3]
Entry from the Materials Project database: RbMg14BO15 after structural relaxation (PBE-GGA).

Cell lengths 8.569, 8.880, 4.347 Å; angles 90.00, 90.00, 90.00 degrees
Sites, in units of the cell vectors:
1 O 0.499 0.000 0.500
2 O 0.500 0.500 0.500
3 O 0.987 0.500 0.500
4 O 0.496 0.233 0.000
5 O 0.229 0.500 0.000
6 O 0.496 0.767 0.000
7 O 0.743 0.745 0.500
8 O 0.743 0.255 0.500
9 O 0.986 0.724 0.000
10 O 0.247 0.245 0.500
11 O 0.981 0.000 0.500
12 O 0.986 0.276 0.000
13 O 0.712 0.500 0.000
14 O 0.247 0.755 0.500
15 O 0.739 0.000 0.000
16 Mg 0.751 0.000 0.500
17 Mg 0.997 0.500 0.000
18 Mg 0.990 0.254 0.500
19 Mg 0.265 0.716 0.000
20 Mg 0.265 0.284 0.000
21 Mg 0.509 0.000 0.000
22 Mg 0.750 0.230 0.000
23 Mg 0.250 0.500 0.500
24 Mg 0.744 0.500 0.500
25 Mg 0.990 0.746 0.500
26 Mg 0.267 0.000 0.500
27 Mg 0.502 0.746 0.500
28 Mg 0.750 0.770 0.000
29 Mg 0.502 0.254 0.500
30 B 0.555 0.500 0.000
31 Rb 0.073 0.000 0.000

Values from the calculation:
**E**: -172.7 eV/f.u.
**Energy of formation**: -2538.8 meV per atom
**Symmetry**: No. 25


[4]
Entry from the Materials Project database: RbMg14BO15 after structural relaxation (PBE-GGA).

Cell lengths 4.312, 8.143, 9.711 Å; angles 90.00, 90.00, 90.00 degrees
Sites, in units of the cell vectors:
1 O 0.000 0.330 0.960
********
There are several ways to rent a car abroad.
The most reliable way is to order it directly into France through some major international company. The most interesting is that despite all the idle speculation, it can be significantly cheaper than renting a car on the spot. True, in some cases can go out and expensive. Large companies have no additional money for the reservation is not taken, and the rental price depends on the country where the car is issued, not on where it ordered.
It's simple: phoned, found conditions at the polite consultants, and then wrote in an e-mail, what, when and where he wanted to get - and you can sleep peacefully. The company will take care of everything else itself - may even be right at the airport to give the car. But for the comfort you have to pay - to the machine at the airport, usually increases the price of the rent by 12%.
Moreover, these percentages do not add to the board for the first day, as you might expect, but to the total amount - it turns out not so little. But to do without this service, it is often impossible: on Saturday, when most of the tourists arrive, the city offices rolling offices generally work only until noon, and on Sunday they shut down altogether. Just outlets in airports are the exception. In large companies, the basic lease terms differ slightly: Hertz, for example, provide a Seat Ibiza in Greece for 223 dollars a week. Budget in the same country and for the same term will return for the $ 230 Renault Twingo. Avis - Fiat Punto for $ 220. Recall that all firms of this class do not work with customers without credit cards.
Necessary to pay on the spot and do not forget about the pledge.
And now it’s for the main details of the order car directly from France. The fact that the prices of offices in the rolling jump, greatly increasing the height of tourist season. When booking a client can be sure that the car he will get for the price, which was in force at the time of booking.
Now, for example, Ford Focus in Italy is 390 Euros per week. During peak season may be more expensive 30 percent. These same interest and make savings when booking. Keep in mind that when the rolling of the company you speak of discounts when booking, we are talking about it. If the price for the time from order to receipt of the car! Will not change a discount. In this connection it is appropriate to give advice to people is too cautious.
## Crystal structures that have nothing to do with the entry
'''
This record from Materials Project describes a geometry-optimized LiDy2Rh structure. The functional is meta-GGA r2SCAN.

Cell lengths 4.909, 4.909, 4.909 Å; angles 60.00, 60.00, 60.00 degrees
Positions (direct):
Dy1 0.250 0.250 0.250
Rh1 0.000 0.000 0.000
Dy2 0.750 0.750 0.750
Li1 0.500 0.500 0.500

Summary:
- E_form: -522 meV/atom
- Magnetic moment: 0.00 μB/f.u.


Na2SrV3O9 after structural relaxation, computed with GGA+U.

Cell and atoms, written as POSCAR:
```
Na2SrV3O9
1.0
-0.033 8.602 12.547
-5.480 0.484 -0.346
-2.470 -8.214 5.626
O Sr V Na
36 4 12 8
Cartesian
-6.910 -4.708 3.490
-6.088 -0.991 8.773
-3.046 1.628 4.644
-4.950 -2.320 11.055
-4.277 -3.558 5.883
-2.220 7.001 11.984
-1.669 4.718 8.588
-5.921 1.721 12.048
-4.253 -4.979 3.657
-3.165 -2.824 8.330
-5.763 -6.129 5.843
-6.059 1.259 14.745
-4.689 6.378 10.039
-2.062 -0.849 5.778
-3.142 1.019 16.625
-3.731 5.851 14.169
-5.690 3.440 6.570
-4.538 0.735 7.051
-1.028 4.269 11.993
-2.293 -2.568 11.257
-6.314 -3.846 9.238
-2.911 2.482 14.130
-3.033 3.192 6.772
-5.072 -1.611 3.696
-3.295 -5.507 7.788
-2.259 -0.854 13.324
-1.924 -0.387 3.081
-1.895 1.863 9.053
-3.445 0.136 10.775
-4.841 -0.147 1.201
-3.706 4.430 11.943
-4.818 3.696 9.496
-1.073 5.580 14.337
-5.724 1.726 4.502
-6.955 -3.397 5.833
-4.937 -0.756 13.183
-5.402 3.610 13.854
-3.825 -4.504 10.200
-2.581 -2.738 3.972
-4.158 5.376 7.627
-5.657 -4.680 5.026
-1.680 3.132 7.946
-4.432 2.019 5.994
-5.055 -1.638 1.985
-2.326 5.552 12.800
-6.195 0.511 13.222
-2.929 2.510 15.842
-1.788 0.361 4.604
-3.551 -1.148 11.832
-6.303 -2.260 9.881
-3.022 -3.975 7.084
-4.961 4.847 10.743
-2.469 2.349 11.445
-1.419 0.509 0.876
-2.666 -0.443 8.290
-5.317 1.314 9.536
-6.564 0.362 16.951
-4.277 1.910 2.519
-5.514 -1.477 6.381
-3.706 -1.039 15.308
```

Values from the calculation:
As for the symmetry: No. 14. For the final energy, the calculation gives -414.5 eV per cell. The spin magnetization comes out at 0.067 μB/atom. For the formation energy, the calculation gives -2586 meV/atom.



Na2SrV4O12 after structural relaxation, computed with GGA+U.

Cell and atoms, written as POSCAR:
```
Na2SrV4O12
1.0
-2.883 -0.374 -10.361
4.107 -9.915 -0.785
-4.505 -1.971 1.325
O V Na Sr
24 8 4 2
Cartesian
-2.829 -9.819 -9.290
-0.680 -6.758 -9.420
0.385 -6.199 -3.274
-5.480 -2.465 -7.366
2.040 -8.458 -1.007
0.160 -7.586 -6.103
0.548 -4.125 -1.327
1.843 -9.181 -4.446
0.449 -10.022 -8.742
-0.171 -10.832 -1.758
-1.296 -5.025 -7.243
-1.361 -1.201 -1.775
-3.825 -4.724 -5.098
-2.533 -5.914 -2.473
-4.802 -5.788 -8.308
-2.951 -2.765 -9.511
-3.119 -7.383 -6.651
-4.441 -2.991 -2.921
-2.822 -3.478 0.166
-1.826 -8.573 -4.026
-1.990 -10.647 -5.973
-1.974 -1.702 -6.301
-1.071 -3.638 -4.414
-1.629 -7.850 -0.586
-0.815 -0.106 -2.928
-0.203 -5.251 -8.501
1.161 -2.802 -0.222
-0.549 -2.343 -5.351
1.427 -5.039 -2.645
-2.068 -0.268 -7.433
1.773 -7.947 -5.794
2.946 -7.113 -0.563
-1.947 -3.558 -2.124
-3.388 -3.745 -7.304
-1.335 -8.703 -7.697
0.107 -8.515 -2.516
-2.253 -0.985 0.662
'''
If to some original verabredet occurred in summer during the tourist season, book a car for several months in advance, on a rainy November, instead of saving can get a net loss. Prices will fall in November - for all but the unlucky customers.